General Settings for Reservation

General Settings for Reservation

Display Pages(Pro) #

You can set the form display page from WpCafe settings. Go to WpCafe -> Settings -> Reservation -> General Settings . Under this tab, you will get the ‘Display Page’ option. Click on the dropdown and select the page. Don’t forget to click on ‘Save Changes’ from the bottom of the page. If you do not find the page, check whether the page is published or not from all page options. If not, publish the page and refresh it. Note- This feature is available in WPCafe PRO only.

Reservation Close State (PRO) #

**Someone pasted calculated molecules at this point:**
# 1
19 unconnected molecules or ions with the total composition C25H51BCl36O3 at a distorted geometry. Source: the Open Molecules 2025 dataset; level of theory: ωB97M-V/def2-TZVPD.

```
116
Properties=species:S:1:pos:R:3:forces:R:3:mulliken_charge:R:1
C 1.959337 0.571871 1.432785 -0.082 1.354 -0.679 0.328
C 0.894929 1.443862 2.326036 -0.040 -0.422 0.713 -0.193
C -0.645526 0.852872 2.323950 -0.622 1.293 0.148 -0.203
C -1.506970 1.371844 0.987733 0.304 1.602 1.982 -0.512
O -0.760100 1.173620 -0.261746 -1.576 -3.739 0.074 -0.375
B -0.870402 -0.198157 -0.784888 -0.167 1.719 1.266 0.387
C -1.701310 -1.453953 -0.133003 -0.533 -1.048 -0.037 -0.116
C -0.703276 -2.557692 0.593990 0.253 1.366 -0.737 0.830
O -1.560257 -3.660390 1.123526 1.301 1.314 3.407 -0.368
C -1.685484 -3.471851 2.593950 -6.793 1.978 0.411 0.235
O -2.876298 -3.039629 3.037778 7.769 -2.892 -2.605 -0.510
H 1.695433 -0.569462 1.366928 0.577 2.411 0.414 -0.511
H 3.043465 0.771909 1.875286 -2.267 -0.772 -1.003 0.376
H 1.965192 1.016383 0.325427 -0.014 -1.253 2.504 -0.234
H 1.296255 1.413334 3.449498 -1.043 0.103 -2.360 0.302
H 0.854586 2.598374 2.026335 0.194 -2.629 0.484 -0.122
H -1.189639 1.379310 3.246635 1.015 -1.247 -1.952 0.321
H -0.723738 -0.301683 2.498298 0.320 2.136 -0.481 -0.008
H -1.591592 2.553250 1.137561 0.227 -2.525 -0.475 0.289
H -2.611845 0.977649 0.976628 2.276 0.475 -0.156 0.330
H -0.291781 -0.420395 -1.811173 0.111 0.300 0.135 -0.169
H -2.588528 -1.163323 0.571412 1.831 -0.631 -1.029 0.111
H -2.194769 -2.038417 -1.049848 1.073 1.314 2.020 -0.116
H 0.075370 -2.951735 -0.213649 -1.805 0.458 1.718 0.168
H -0.060814 -2.102200 1.463419 -1.587 -0.744 -1.888 -0.739
H -0.825945 -3.734871 3.351254 -1.395 0.506 -1.933 0.268
C 1.855345 2.458873 -2.187891 -0.327 -0.176 0.062 0.048
Cl 1.851737 3.754451 -3.390573 -0.006 -0.225 -0.215 -0.089
Cl 3.372395 2.437467 -1.280605 0.047 0.184 -0.059 -0.134
H 1.027193 2.616460 -1.492678 0.233 0.017 -0.115 -0.098
H 1.732040 1.500155 -2.697455 0.131 0.274 0.086 0.297
C 6.077073 0.570321 -2.582319 -0.358 0.268 -0.054 0.459
Cl 7.784757 0.114850 -2.618888 0.105 0.126 -0.092 -0.189
Cl 5.142331 -0.546140 -1.579904 0.231 0.106 -0.306 -0.108
H 5.986505 1.578657 -2.171165 0.072 -0.487 -0.034 -0.108
H 5.681675 0.550200 -3.600777 0.206 -0.105 0.503 -0.095
C 2.842316 -3.559381 1.022963 0.225 -0.326 -0.375 0.210
Cl 3.576655 -2.142758 0.262103 -0.176 -0.501 0.198 -0.036
Cl 1.852855 -3.094109 2.412048 0.424 -0.323 0.516 -0.114
H 2.210937 -4.069120 0.291172 0.058 0.220 0.193 0.297
H 3.634164 -4.232792 1.359849 -0.246 0.336 0.015 -0.233
C -2.077567 -4.777522 -2.237576 -0.230 -0.198 0.326 0.328
Cl -1.946612 -3.300582 -3.200112 0.011 0.045 -0.104 -0.192
Cl -0.820785 -5.939061 -2.680736 -0.049 -0.015 0.075 -0.180
H -1.970600 -4.523732 -1.180154 0.044 -0.008 -0.255 -0.283
H -3.057058 -5.229644 -2.411305 0.282 0.110 -0.071 0.371
C -3.904010 -4.475861 -6.014099 0.202 0.317 0.078 0.157
Cl -5.562359 -3.866236 -6.070779 0.315 -0.061 0.088 -0.098

When do you want to stop taking new orders? Is it based on the total confirm the order or total pending order? It’s up to you. WPCafe provides both options and you can set it from the WpCafe settings. Go to WpCafe -> Settings -> Reservation -> General Settings. Under this tab, you will get the ‘Reservation close state’. Click on the dropdown and select the options. Don’t forget to click on ‘Save Changes’ from the bottom of the page. Note- This feature is available in WPCafe PRO only.

Pending Message on Reservation #

Showing a beautiful message on a successful reservation is always positive for all the business. You can add a custom message for the customers. To set the text, go to WpCafe -> Settings -> Reservation -> General Settings. Set the message from the input box and then save changes.

Reservation Confirmed Message #

You can display a professional massage on the reservation confirmation page. To set the text, go to WpCafe -> Settings -> Reservation -> General Settings -> Reservation confirmed message -> Set the message from the input box and then save changes.

Settings for pending and confirmed messages for reservation.

**Quantum chemistry results from another source follow**
=====
Formula: C18H19Cl2N3OSnTe
Source: OMol25
Level of theory: ωB97M-V/def2-TZVPD

Charge: +2
Energy relative to the best compared isomer or geometry (same formula, charge and spin): 1.0726 eV
Largest force on an atom: 0.0118 Eh/bohr
HOMO (alpha / beta): -0.5035 / -0.4998 hartree
Energy: -2338.9358 Eh

Element x y z (Å)
Sn: -1.074 -2.876 -1.117
Cl: -0.416 -2.589 3.919
C: 0.876 -2.611 2.829
C: 2.179 -2.558 3.280
C: 3.241 -2.574 2.384
Cl: 4.814 -2.510 2.989
C: 3.027 -2.646 0.956
C: 4.050 -2.665 -0.005
C: 3.717 -2.740 -1.337
C: 2.370 -2.796 -1.698
N: 1.396 -2.776 -0.801
C: 1.714 -2.704 0.499
C: 0.589 -2.687 1.424
O: -0.596 -2.738 0.988
H: 2.371 -2.507 4.343
H: 5.086 -2.624 0.307
H: 4.480 -2.758 -2.102
H: 2.077 -2.857 -2.740
C: -0.527 6.198 -0.282
C: -0.686 4.718 -0.455
C: 0.403 3.912 -0.794
C: 0.274 2.553 -0.986
C: 1.494 1.735 -1.324
C: -1.017 1.987 -0.842
Te: -1.326 0.059 -1.484
C: -2.133 2.763 -0.440
C: -3.514 2.217 -0.178
C: -1.929 4.119 -0.266
H: 0.499 6.520 -0.445
H: -0.833 6.501 0.721
H: -1.174 6.731 -0.981
H: 1.378 4.369 -0.910
H: 2.381 2.365 -1.336
H: 1.404 1.264 -2.303
H: 1.643 0.945 -0.585
H: -3.550 1.133 -0.187
H: -4.219 2.592 -0.921
H: -3.860 2.560 0.798
H: -2.770 4.734 0.036
N: -3.222 -4.269 -0.296
N: -3.526 -2.859 -0.272
H: -4.031 -4.855 -0.482
H: -2.894 -4.521 0.632
H: -4.072 -2.614 0.550
H: -4.095 -2.642 -1.085

***

Formula: C18H19Cl2O4RuS6
Source: OMol25
Level of theory: ωB97M-V/def2-TZVPD

Energy relative to the best compared isomer or geometry (same formula, charge and spin): 0.0000 eV
Largest force on an atom: 0.0596 Eh/bohr
HOMO (alpha / beta): -0.2771 / -0.2661 hartree
Energy: -4402.5899 Eh
Spin multiplicity: 2

Element x y z (Å)
Ru: 1.606 -1.392 -1.430
O: 1.665 1.007 -1.469
S: 1.537 2.253 -0.680
C: 0.072 2.032 0.436
C: 0.183 0.837 1.366
C: -1.197 0.307 1.804
C: -1.349 -1.185 1.567
S: -1.521 -1.657 -0.240
O: -0.601 -0.701 -0.925
C: -3.114 -0.835 -0.441
C: -4.255 -1.414 0.084
C: -5.457 -0.734 -0.012
C: -5.514 0.507 -0.628
C: -4.373 1.056 -1.191
C: -3.171 0.375 -1.108
C: 2.770 2.132 0.650
C: 3.444 0.942 0.848
C: 4.359 0.838 1.880
C: 4.620 1.943 2.672
C: 3.969 3.145 2.443
C: 3.027 3.244 1.434
H: -0.755 1.890 -0.258
H: -0.044 2.976 0.964
H: 0.781 1.091 2.245
H: 0.707 0.036 0.829
H: -1.994 0.828 1.267
H: -1.346 0.515 2.866
H: -2.231 -1.582 2.063
H: -0.478 -1.736 1.918
H: -4.204 -2.386 0.550
H: -6.349 -1.167 0.410
H: -6.451 1.043 -0.681
H: -4.412 2.018 -1.681
H: -2.270 0.757 -1.569
H: 3.245 0.102 0.183
H: 4.875 -0.093 2.057
H: 5.348 1.867 3.464
H: 4.209 4.007 3.044
H: 2.503 4.171 1.254
S: 3.976 -1.670 -2.143
S: 5.089 -2.499 -0.763
S: 3.758 -3.204 0.997
S: 1.954 -2.481 0.775
Cl: 0.296 -3.587 -5.078
C: -0.306 -2.234 -4.122
Cl: 0.958 -1.012 -3.924
C: -0.713 -2.747 -2.689
O: -1.910 -2.667 -2.425
O: 0.218 -3.160 -1.978
H: -1.155 -1.780 -4.634

***

Formula: C18H19F2NO
Source: OMol25
Level of theory: ωB97M-V/def2-TZVPD

Energy relative to the best compared isomer or geometry (same formula, charge and spin): 0.1974 eV
=====
**So much for the quantum chemistry results**

Empty Schedule Message #

You can set the empty schedule message body from WpCafe -> Settings -> Reservation ->General Settings -> Empty Schedule Message. This message will be shown on the reservation form when there is no reservation schedule set from admin settings.

Frontend view:

Reservation Schedule Interval #

You can set the reservation schedule interval from WpCafe -> Settings -> Reservation ->General Settings -> Reservation Schedule Interval.

{"formula": "C5H10O", "method": "ωB97M-V/def2-TZVPD", "smiles": "C[C@H]1CC[C@H]1O", "lumo_energy_ev": 1.031, "molar_mass_g_mol": 86.1, "total_energy_ev": -7393.777, "species": ["O", "C", "C", "C", "C", "C", "H", "H", "H", "H", "H", "H", "H", "H", "H", "H"], "xyz": [[0.20347, 0.57307, 2.05912], [1.04845, -1.03694, 0.25966], [-0.79618, 0.01444, -0.23752], [-0.52385, 1.46120, -0.66088], [0.08318, -1.05069, -0.94592], [-0.08355, -0.39377, 1.08694], [-0.66752, -1.15929, 1.60601], [0.35183, 1.54483, -1.31446], [0.50158, -0.77570, -1.91946], [-1.37614, 1.89777, -1.18796], [1.87864, -0.33607, 0.11277], [1.45336, -1.99275, 0.60648], [-0.42813, -2.01318, -1.04753], [-0.35412, 2.10954, 0.20877], [-1.87341, -0.18324, -0.24727], [0.58237, 1.34078, 1.62125]], "forces_ev_per_angstrom": [[0.0314, -0.0038, 0.0638], [0.1577, -0.0024, 0.0927], [-0.1261, 0.0585, 0.0523], [0.0514, 0.0811, -0.0124], [-0.0386, -0.0762, -0.1690], [-0.1485, -0.2582, -0.0587], [0.0734, 0.0471, -0.0937], [-0.0936, -0.0182, 0.1206], [-0.0937, -0.0163, 0.1510], [0.1244, -0.1273, -0.0282], [-0.1344, -0.0574, 0.0123], [-0.0466, 0.1787, -0.0362], [0.0467, 0.1640, 0.0248], [-0.1066, -0.0269, -0.1863], [0.1795, 0.0480, 0.0243], [0.1237, 0.0095, 0.0426]]}

=====

Business hour label #

Based on the type of food you serve and your target customers, you may have a single business hour schedule or multiple schedules. The business hour label will help you get conversions from visitors. With WPCafe, you can set the ‘Business hour label’ on your restaurant website. To set a business hour to follow 3 simple steps,

Set your schedule #

You can set both a single and multi-schedule for your restaurant. Check our documentation for setting up restaurant schedules.

Set the label #

Once you are happy with the schedule, now it’s time to set the label. Go to WpCafe -> Settings -> Reservation ->General Settings -> Business hour label. After that, write the label inside the given input box and save the changes.

Frontend view for the business hour:

Note- ‘Business hour label’ is a premium feature. If you use WPCafe for free, you will not be able to use the feature.